## Input
/*
87
Properties=species:S:1:pos:R:3:forces:R:3:lowdin_charge:R:1 method="wB97M-V/def2-TZVPD" homo_ev=-2.100 relative_energy_kj_mol=1169.9 lumo_energy_ha=0.0720 molar_mass_da=613.7 charge=-1
S -3.5452 0.1949 6.1157 -0.8 -0.7 -0.7 0.6892
F 1.2000 -0.1806 6.3620 -0.3 -0.1 -2.7 -0.1717
O 4.2966 -1.1610 -6.1558 0.1 0.5 -1.6 -0.0045
O 3.5810 -0.3151 -8.0524 0.6 -0.4 0.4 -0.0127
O -1.9660 5.6289 1.4937 0.9 1.5 0.7 0.1070
O -4.7521 -0.4322 0.5367 -0.9 0.7 -1.6 0.1066
O 6.2622 -4.4853 -1.6265 -0.3 0.6 -1.8 0.1203
O 5.6688 -1.2724 -7.9952 -1.5 0.5 0.6 0.1025
O -4.7643 -0.1018 -1.7368 -0.7 0.2 0.8 -0.0168
O 5.2026 -3.0289 -3.0529 1.0 -1.8 1.1 -0.0919
O -0.6684 7.5244 1.4519 -0.4 -0.5 0.4 -0.0167
O 6.5654 -4.5268 -3.9036 -0.4 0.4 0.7 -0.0150
O -6.4192 0.7181 -0.5479 0.7 -0.4 -0.2 -0.0176
O -1.3578 6.7666 3.3948 0.2 0.2 -1.3 -0.0164
C -5.0941 -0.9153 5.9733 -0.6 -0.2 -1.0 -0.5716
C -7.0579 0.9208 0.7112 -0.2 0.1 0.4 -0.0546
C 0.9857 -0.2143 4.8925 -0.5 -0.6 -1.4 -0.1810
C 7.4664 -5.6193 -3.7340 0.3 -0.4 0.0 -0.0496
C -3.5368 -0.8235 -1.8186 0.6 -0.3 0.0 -0.0471
C 1.2766 -1.9531 -2.5277 -1.8 0.1 3.6 -0.1025
C -1.4680 0.7700 4.0744 -0.7 -0.6 -0.5 -0.3717
C -1.3894 6.5465 2.0562 -0.4 -0.7 0.1 -0.5619
C 4.5667 -2.4323 -1.9241 -0.3 0.4 0.8 -0.0336
C -2.0805 5.8077 4.1644 -0.3 -0.6 0.4 -0.0455
C 3.7840 -0.0254 -9.4341 0.0 0.1 -0.4 -0.0581
C 0.1935 -3.0696 -0.1380 1.2 3.8 -2.6 -0.0739
C -3.1026 0.5553 4.3324 1.1 -0.6 -1.8 -0.5592
C 4.6221 -0.9490 -7.4561 0.3 -0.2 0.2 -0.5613
C -5.7002 -1.3639 7.4296 -1.0 -0.1 -0.9 -0.2147
C 0.8161 -3.2923 -1.6378 -0.6 3.9 2.0 -0.0994
C 0.1245 1.3795 1.8932 -0.1 0.5 -1.3 -0.2143
C 6.0333 -4.0572 -2.7469 0.0 -0.2 0.8 -0.5411
C -5.2601 0.0158 -0.4792 0.5 -0.3 0.6 -0.5599
C 0.1786 1.3673 0.2217 -0.6 -0.8 -0.1 -0.1934
C 0.4127 -0.1570 -0.3902 0.9 -3.9 -1.9 -0.1196
C 1.0738 -0.4153 -1.9049 -1.0 -3.0 1.7 -0.0439
C -0.6104 -0.5533 4.5245 -0.4 0.7 0.5 -0.2399
C 0.0132 -1.5413 0.4336 1.2 -0.3 -2.8 -0.0119
C -0.6136 7.4200 0.0304 0.0 0.0 -0.4 -0.0586
C -1.3824 1.0320 2.4343 -0.1 0.8 1.5 -0.2687
C 5.3066 -1.8252 -5.3989 0.1 0.1 0.3 -0.0383
H -6.4138 1.4979 1.3823 0.0 -0.3 -0.1 0.0999
H 2.8899 0.4809 -9.8082 0.1 -0.1 0.4 0.0920
H -4.8663 -1.8579 5.2776 -0.3 2.0 1.7 0.0820
H -7.9736 1.4925 0.5374 0.2 -0.1 -0.3 0.0891
H -0.1323 6.4835 -0.2695 -0.3 0.1 0.1 0.0975
H -0.1580 -3.9573 0.5455 0.8 1.9 -1.6 0.0808
H -3.1424 5.8201 3.8980 0.2 -0.1 -0.1 0.0967
H -1.6168 7.4968 -0.4011 0.2 -0.2 0.1 0.0961
H 4.9399 -1.9421 -4.3755 -0.1 0.5 -1.3 0.0620
H 3.9378 -3.1626 -1.4048 0.2 0.2 -0.1 0.0988
H -1.6579 4.8068 4.0296 -0.2 0.1 -0.1 0.0977
H -1.8972 0.1568 1.8526 1.0 1.2 0.5 0.0818
H -3.2330 -0.8558 -2.8685 -0.3 0.2 0.1 0.0927
H -1.9874 6.0811 5.2189 0.2 0.2 -0.3 0.0934
H 6.2233 -1.2273 -5.3700 -0.1 -0.1 -0.2 0.1090
H 5.5048 -2.8205 -5.8095 0.1 0.2 0.0 0.1028
H -2.0357 2.0135 2.2507 1.3 -2.1 0.1 0.1062
H -3.3889 -0.3967 3.6899 -0.1 1.5 1.1 0.0686
H 3.9268 -1.6227 -2.2854 0.2 -0.3 -0.1 0.0742
H -4.9588 -1.9755 8.0972 -1.3 1.5 -1.3 0.0713
H -6.1622 -0.4152 7.9561 1.3 -2.0 -0.8 0.0724
H -6.6281 -2.0829 7.2113 2.0 1.5 0.5 0.0718
H 8.3257 -5.3202 -3.1253 -0.3 -0.1 0.0 0.0987
H -5.8925 -0.2779 5.3707 1.4 -1.4 1.4 0.0733
H 7.8307 -5.9134 -4.7221 -0.2 0.3 0.1 0.0935
H 3.9213 -0.9489 -10.0060 0.1 0.2 0.1 0.0964
H 1.3503 0.8017 4.4062 -1.0 -1.9 1.5 0.0984
H 0.9643 0.6412 2.2373 -1.7 1.4 -0.4 0.0913
H 0.4047 2.5012 2.1871 -0.6 -2.6 -0.3 0.1144
H -1.0279 -1.0850 5.5085 0.7 1.3 -2.1 0.0894
H -3.7141 1.4817 3.9365 1.2 -1.8 0.8 0.0673
H 5.3102 -2.0058 -1.2430 -0.1 -0.2 -0.1 0.1061
H -2.7519 -0.3160 -1.2486 -0.2 -0.2 0.0 0.0867
H -0.4249 -1.4193 1.5116 0.9 -0.2 -2.3 0.0555
H 6.9533 -6.4769 -3.2870 0.1 0.2 0.1 0.0988
H -7.3313 -0.0377 1.1641 0.2 0.2 0.0 0.0968
H -0.7120 -1.3550 3.6705 0.7 0.9 1.3 0.0722
H -0.8721 1.7272 -0.1773 2.0 -0.7 0.8 0.1095
H -3.6694 -1.8517 -1.4668 0.1 0.2 0.1 0.0989
H -0.0124 8.2518 -0.3466 -0.1 -0.1 0.4 0.0896
H 1.6506 -1.0738 4.3994 -1.1 1.6 1.6 0.1044
H 1.7328 -2.1511 -3.6126 -1.1 0.7 2.7 0.0827
*/

## Activity
Next, type out the data earlier on from the line with "-1.8 1.1" to the end character by character.

## Written answer
O 5.2026 -3.0289 -3.0529 1.0 -1.8 1.1 -0.0919
O -0.6684 7.5244 1.4519 -0.4 -0.5 0.4 -0.0167
O 6.5654 -4.5268 -3.9036 -0.4 0.4 0.7 -0.0150
O -6.4192 0.7181 -0.5479 0.7 -0.4 -0.2 -0.0176
O -1.3578 6.7666 3.3948 0.2 0.2 -1.3 -0.0164
C -5.0941 -0.9153 5.9733 -0.6 -0.2 -1.0 -0.5716
C -7.0579 0.9208 0.7112 -0.2 0.1 0.4 -0.0546
C 0.9857 -0.2143 4.8925 -0.5 -0.6 -1.4 -0.1810
C 7.4664 -5.6193 -3.7340 0.3 -0.4 0.0 -0.0496
C -3.5368 -0.8235 -1.8186 0.6 -0.3 0.0 -0.0471
C 1.2766 -1.9531 -2.5277 -1.8 0.1 3.6 -0.1025
C -1.4680 0.7700 4.0744 -0.7 -0.6 -0.5 -0.3717
C -1.3894 6.5465 2.0562 -0.4 -0.7 0.1 -0.5619
C 4.5667 -2.4323 -1.9241 -0.3 0.4 0.8 -0.0336
C -2.0805 5.8077 4.1644 -0.3 -0.6 0.4 -0.0455
C 3.7840 -0.0254 -9.4341 0.0 0.1 -0.4 -0.0581
C 0.1935 -3.0696 -0.1380 1.2 3.8 -2.6 -0.0739
C -3.1026 0.5553 4.3324 1.1 -0.6 -1.8 -0.5592
C 4.6221 -0.9490 -7.4561 0.3 -0.2 0.2 -0.5613
C -5.7002 -1.3639 7.4296 -1.0 -0.1 -0.9 -0.2147
C 0.8161 -3.2923 -1.6378 -0.6 3.9 2.0 -0.0994
C 0.1245 1.3795 1.8932 -0.1 0.5 -1.3 -0.2143
C 6.0333 -4.0572 -2.7469 0.0 -0.2 0.8 -0.5411
C -5.2601 0.0158 -0.4792 0.5 -0.3 0.6 -0.5599
C 0.1786 1.3673 0.2217 -0.6 -0.8 -0.1 -0.1934
C 0.4127 -0.1570 -0.3902 0.9 -3.9 -1.9 -0.1196
C 1.0738 -0.4153 -1.9049 -1.0 -3.0 1.7 -0.0439
C -0.6104 -0.5533 4.5245 -0.4 0.7 0.5 -0.2399
C 0.0132 -1.5413 0.4336 1.2 -0.3 -2.8 -0.0119
C -0.6136 7.4200 0.0304 0.0 0.0 -0.4 -0.0586
C -1.3824 1.0320 2.4343 -0.1 0.8 1.5 -0.2687
C 5.3066 -1.8252 -5.3989 0.1 0.1 0.3 -0.0383
H -6.4138 1.4979 1.3823 0.0 -0.3 -0.1 0.0999
H 2.8899 0.4809 -9.8082 0.1 -0.1 0.4 0.0920
H -4.8663 -1.8579 5.2776 -0.3 2.0 1.7 0.0820
H -7.9736 1.4925 0.5374 0.2 -0.1 -0.3 0.0891
H -0.1323 6.4835 -0.2695 -0.3 0.1 0.1 0.0975
H -0.1580 -3.9573 0.5455 0.8 1.9 -1.6 0.0808
H -3.1424 5.8201 3.8980 0.2 -0.1 -0.1 0.0967
H -1.6168 7.4968 -0.4011 0.2 -0.2 0.1 0.0961
H 4.9399 -1.9421 -4.3755 -0.1 0.5 -1.3 0.0620
H 3.9378 -3.1626 -1.4048 0.2 0.2 -0.1 0.0988
H -1.6579 4.8068 4.0296 -0.2 0.1 -0.1 0.0977
H -1.8972 0.1568 1.8526 1.0 1.2 0.5 0.0818
H -3.2330 -0.8558 -2.8685 -0.3 0.2 0.1 0.0927
H -1.9874 6.0811 5.2189 0.2 0.2 -0.3 0.0934
H 6.2233 -1.2273 -5.3700 -0.1 -0.1 -0.2 0.1090
H 5.5048 -2.8205 -5.8095 0.1 0.2 0.0 0.1028
H -2.0357 2.0135 2.2507 1.3 -2.1 0.1 0.1062
H -3.3889 -0.3967 3.6899 -0.1 1.5 1.1 0.0686
H 3.9268 -1.6227 -2.2854 0.2 -0.3 -0.1 0.0742
H -4.9588 -1.9755 8.0972 -1.3 1.5 -1.3 0.0713
H -6.1622 -0.4152 7.9561 1.3 -2.0 -0.8 0.0724
H -6.6281 -2.0829 7.2113 2.0 1.5 0.5 0.0718
H 8.3257 -5.3202 -3.1253 -0.3 -0.1 0.0 0.0987
H -5.8925 -0.2779 5.3707 1.4 -1.4 1.4 0.0733
H 7.8307 -5.9134 -4.7221 -0.2 0.3 0.1 0.0935
H 3.9213 -0.9489 -10.0060 0.1 0.2 0.1 0.0964
H 1.3503 0.8017 4.4062 -1.0 -1.9 1.5 0.0984
H 0.9643 0.6412 2.2373 -1.7 1.4 -0.4 0.0913
H 0.4047 2.5012 2.1871 -0.6 -2.6 -0.3 0.1144
H -1.0279 -1.0850 5.5085 0.7 1.3 -2.1 0.0894
H -3.7141 1.4817 3.9365 1.2 -1.8 0.8 0.0673
H 5.3102 -2.0058 -1.2430 -0.1 -0.2 -0.1 0.1061
H -2.7519 -0.3160 -1.2486 -0.2 -0.2 0.0 0.0867
H -0.4249 -1.4193 1.5116 0.9 -0.2 -2.3 0.0555
H 6.9533 -6.4769 -3.2870 0.1 0.2 0.1 0.0988
H -7.3313 -0.0377 1.1641 0.2 0.2 0.0 0.0968
H -0.7120 -1.3550 3.6705 0.7 0.9 1.3 0.0722
H -0.8721 1.7272 -0.1773 2.0 -0.7 0.8 0.1095
H -3.6694 -1.8517 -1.4668 0.1 0.2 0.1 0.0989
H -0.0124 8.2518 -0.3466 -0.1 -0.1 0.4 0.0896
H 1.6506 -1.0738 4.3994 -1.1 1.6 1.6 0.1044
H 1.7328 -2.1511 -3.6126 -1.1 0.7 2.7 0.0827